“What genre is it?”
That’s the most common question I get about my book, second perhaps to “what’s it about?” After all, readers want to know what they’re getting into before they hand over their money, or decide to invest their time. No one wants to be disappointed, and book stores and portals especially don’t want their customers to be upset, so they adhere rigidly to the genre model, and force authors and publishers to pigeon-hole their books whether or not they behave like good pigeons ought to.
So where does The Defender of Rebel Falls fit? It’s a tough question to answer, not because it’s a special snowflake of a book, but because I can make reasonable claims for four or five genres. But at the same time, there are good counter-arguments to all those claims.
## Unrelated to this article: crystal structures
=====
(1)
Structure and computed X-ray powder pattern of Ti4S8Cl6O (a PBE-relaxed structure; Cu Ka).

Principal peaks in the range 2θ = 10–90°, low angle first:
2θ = 10.90°, I 98; 2θ = 11.27°, I 61; 2θ = 12.45°, I 100; 2θ = 13.87°, I 53; 2θ = 14.39°, I 65; 2θ = 21.18°, I 33; 2θ = 30.73°, I 32; 2θ = 31.01°, I 39

Structural model:
```
Ti4S8Cl6O
1.0
4.830 -8.558 0.000
4.830 8.558 0.000
-4.008 0.000 12.773
Ti S Cl O
8 16 12 2
Direct
0.134 0.765 0.851
0.136 0.207 0.287
0.207 0.136 0.787
0.235 0.866 0.649
0.765 0.134 0.351
0.793 0.864 0.213
0.864 0.793 0.713
0.866 0.235 0.149
0.048 0.931 0.324
0.069 0.952 0.176
0.134 0.276 0.121
0.150 0.452 0.234
0.170 0.612 0.711
0.276 0.134 0.621
0.388 0.830 0.789
0.452 0.150 0.734
0.548 0.850 0.266
0.612 0.170 0.211
0.724 0.866 0.379
0.830 0.388 0.289
0.850 0.548 0.766
0.866 0.724 0.879
0.931 0.048 0.824
0.952 0.069 0.676
0.068 0.286 0.454
0.199 0.691 0.991
0.286 0.068 0.954
0.309 0.801 0.509
0.338 0.404 0.862
0.404 0.338 0.362
0.596 0.662 0.638
0.662 0.596 0.138
0.691 0.199 0.491
0.714 0.932 0.046
0.801 0.309 0.009
0.932 0.714 0.546
0.110 0.890 0.750
0.890 0.110 0.250
```

(2)
Structure and computed X-ray powder pattern of TbPd (a PBE-relaxed structure; Cu Ka).

Principal peaks in the range 2θ = 10–90°, low angle first:
2θ = 31.99°, I 100; 2θ = 33.85°, I 31; 2θ = 35.03°, I 21; 2θ = 38.90°, I 34; 2θ = 39.19°, I 18; 2θ = 40.23°, I 64; 2θ = 48.94°, I 18; 2θ = 52.50°, I 18

Structural model:
```
TbPd
1.0
1.861 -5.296 0.000
1.861 5.296 0.000
0.000 0.000 4.630
Tb Pd
2 2
Direct
0.137 0.863 0.750
0.863 0.137 0.250
0.414 0.586 0.750
0.586 0.414 0.250
```

(3)
Structure and computed X-ray powder pattern of ThC (a PBE-relaxed structure; Cu Ka).

Principal peaks in the range 2θ = 10–90°, low angle first:
2θ = 27.94°, I 100; 2θ = 39.93°, I 96; 2θ = 49.44°, I 30; 2θ = 57.75°, I 16; 2θ = 65.35°, I 40; 2θ = 72.51°, I 34; 2θ = 86.14°, I 11

Structural model:
```
ThC
1.0
3.193 0.000 0.000
0.000 3.193 0.000
0.000 0.000 3.193
Th C
1 1
Direct
0.000 0.000 0.000
0.500 0.500 0.500
```

(4)
Structure and computed X-ray powder pattern of YFe2SiC (a PBE-relaxed structure; Cu Ka).

Principal peaks in the range 2θ = 10–90°, low angle first:
2θ = 31.61°, I 22; 2θ = 35.20°, I 65; 2θ = 36.86°, I 100; 2θ = 36.99°, I 46; 2θ = 37.72°, I 46; 2θ = 43.88°, I 41; 2θ = 48.52°, I 33; 2θ = 66.00°, I 23

Structural model:
```
YFe2SiC
1.0
1.876 -5.211 0.000
1.876 5.211 0.000
0.000 0.000 6.743
Y Fe Si C
2 4 2 2
Direct
0.049 0.951 0.750
0.951 0.049 0.250
0.334 0.666 0.563
0.334 0.666 0.937
0.666 0.334 0.063
0.666 0.334 0.437
0.231 0.769 0.250
0.769 0.231 0.750
0.500 0.500 0.000
0.500 0.500 0.500
```

(5)
Structure and computed X-ray powder pattern of TaCo2Te2 (a PBE-relaxed structure; Cu Ka).

Principal peaks in the range 2θ = 10–90°, low angle first:
2θ = 27.68°, I 94; 2θ = 32.02°, I 45; 2θ = 36.45°, I 100; 2θ = 39.14°, I 95; 2θ = 39.49°, I 77; 2θ = 41.70°, I 48; 2θ = 42.96°, I 54; 2θ = 44.63°, I 84

Structural model:
```
TaCo2Te2
1.0
18.110 0.000 0.000
=====
If you look closely, you’ll see a dragon flying around the bottom right of the book cover. Sure enough, dragons play a significant role in the story, so one could be forgiven for jumping to the conclusion that it belongs in the fantasy section. The medieval sword clashing with the quill would seem to support this view, at least on the surface. But what about below the surface? There’s no magic in the story, nor are there elves, dwarves, unicorns, vampires…in other words, nothing related to fantasy. Furthermore, the story takes place in our universe, not some alternate plane of existence, or dream world.
So…science fiction, right? Makes sense. It takes place in the future, after all, on a distant planet colonized from Earth. But where are the space ships? The robots? The advanced technologies? Heck–the technology on Esper is seriously regressed, not advanced. Readers expecting the trappings of a space opera may find themselves disappointed.
I could claim–a stretched one, perhaps–that William’s character arc makes this a coming of age story. On the cusp of manhood, he faces both internal and external struggles that force him to both grow, and to accept who he is over who he thinks he should be. Satisfying as that may be, it’s not as though it’s the main point of the plot. Necessary, maybe, but not central. Also, it seems to me that a true coming of age story needs to take place in something closer to the here and now, otherwise readers may fail to identify with the main character on a personal level; their circumstances are too different. It’s one thing to imagine you could be the main character; it’s quite another to imagine you are.
Perhaps RPG, then. A group of five adventuring across the wilderness, facing all sorts of obstacles sounds a little like World of Warcraft to me. William Whitehall himself is paladin-like, fighting with righteous indignation to protect the innocent and purge the world of evil. I may be overstating the case, but all he lacks is mana and spell-power. Well, that and plate metal armor. The rest of the group can easily be compared to a rogue, a healer, a hunter, and a warrior respectively, which I did deliberately, I admit, but not with the intent of writing a D & D story or WOW fan-fiction. I’ve written stuff like that before, and I know the difference. At most, I borrowed a few ideas from the gaming world. Or maybe I stole them outright, like a light-footed halfling thief.
[1]
Calculated powder X-ray diffraction pattern of SiP2Au for copper Kα, from the GGA-PBE geometry in Alexandria.

Structural model:
```
data_SiP2Au
_symmetry_space_group_name_H-M 'R 3 m'
_symmetry_Int_Tables_number 160
_symmetry_space_group_name_Hall 'R 3 -2"'
_cell_length_a 3.4546
_cell_length_b 3.4546
_cell_length_c 18.8833
_cell_angle_alpha 90.00
_cell_angle_beta 90.00
_cell_angle_gamma 120.00
loop_
_atom_site_label
_atom_site_fract_x
_atom_site_fract_y
_atom_site_fract_z
Si1 0.0000 0.0000 0.0000
P1 0.0000 0.0000 0.4831
P2 0.0000 0.0000 0.7444
Au1 0.0000 0.0000 0.2453
```

Top 10 peaks for 2θ from 10° to 80°, by intensity:
35.52°, I = 100, (1 0 4); 14.07°, I = 83, (0 0 3); 30.25°, I = 54, (1 0 1); 31.37°, I = 49, (0 1 2); 49.17°, I = 38, (0 1 8); 38.38°, I = 33, (0 1 5); 53.02°, I = 32, (1 1 0); 28.36°, I = 22, (0 0 6); 55.14°, I = 18, (1 1 3); 65.45°, I = 17, (0 2 4)

[2]
Calculated powder X-ray diffraction pattern of SiP2Au for copper Kα, from the GGA-PBE geometry in Alexandria.

Structural model:
```
data_SiP2Au
_symmetry_space_group_name_H-M 'I -4 2 d'
_symmetry_Int_Tables_number 122
_symmetry_space_group_name_Hall 'I -4 2bw'
_cell_length_a 5.5390
_cell_length_b 5.5390
_cell_length_c 10.4756
_cell_angle_alpha 90.00
_cell_angle_beta 90.00
_cell_angle_gamma 90.00
loop_
_atom_site_label
_atom_site_fract_x
_atom_site_fract_y
_atom_site_fract_z
Si1 0.0000 0.0000 0.0000
P1 0.2266 0.2500 0.1250
Au1 0.0000 0.0000 0.5000
```

Top 10 peaks for 2θ from 10° to 80°, by intensity:
28.46°, I = 100, (1 1 2); 18.12°, I = 66, (1 0 1); 47.80°, I = 35, (2 0 4); 55.30°, I = 31, (3 1 2); 37.30°, I = 28, (2 1 1); 46.36°, I = 27, (2 2 0); 30.26°, I = 24, (1 0 3); 32.32°, I = 18, (2 0 0); 44.86°, I = 14, (2 1 3); 57.82°, I = 14, (1 1 6)

[3]
Calculated powder X-ray diffraction pattern of SnPAu for copper Kα, from the GGA-PBE geometry in Alexandria.

Structural model:
```
data_SnPAu
_symmetry_space_group_name_H-M 'P 3 m 1'
_symmetry_Int_Tables_number 156
_cell_length_a 4.2319
_cell_length_b 4.2319
_cell_length_c 4.2883
_cell_angle_alpha 90.00
_cell_angle_beta 90.00
_cell_angle_gamma 120.00
loop_
_symmetry_equiv_pos_as_xyz
'x,y,z'
'-y,x-y,z'
'-x+y,-x,z'
'-y,-x,z'
'-x+y,y,z'
'x,x-y,z'
loop_
_atom_site_label
_atom_site_fract_x
_atom_site_fract_y
_atom_site_fract_z
Sn1 0.0000 0.0000 0.0000
P1 0.3333 0.6667 0.4975
Au1 0.6667 0.3333 0.5920
```

Top 10 peaks for 2θ from 10° to 80°, by intensity:
32.13°, I = 100, (0 1 1); 42.73°, I = 38, (1 1 0); 24.29°, I = 28, (1 0 0); 54.45°, I = 23, (2 0 1); 71.59°, I = 21, (1 2 1); 61.58°, I = 19, (1 1 2); 49.24°, I = 17, (1 0 2); 20.71°, I = 12, (0 0 1); 42.15°, I = 9, (0 0 2); 70.75°, I = 8, (0 1 3)

[4]
Calculated powder X-ray diffraction pattern of SnP2Au for copper Kα, from the GGA-PBE geometry in Alexandria.

Structural model:
```
data_SnP2Au
_symmetry_space_group_name_H-M 'C 1 2/m 1'
_symmetry_Int_Tables_number 12
_cell_length_a 11.1631
_cell_length_b 3.3175
_cell_length_c 4.9838
_cell_angle_alpha 90.00
Okay, confession time. The decision of which genre my book belongs to wasn’t as difficult as I’m making it out to be. But it’s still an important question to address, again because of reader’s expectations. In the end, I decided on science fiction, with adventure as the sub-category, and I’m quite satisfied with this. While important parts of the book were inspired by fantasy, or gaming, or even coming of age, the implementation was decidedly sience-y (I won’t call it scientific, because, frankly, a lot of the science was simply imagined). I took elements that I wanted–such as dragons–and asked myself what if at some point in the future we found out they really existed, and the old stories were based on fact and not fantasy? How could we explain it? And when our explanations don’t contradict known facts–or try not to, anyway–we’re definitely leaning toward sci-fi and not fantasy.
Will this genre straddling be a good thing or not? I’m not sure. It wasn’t a calculated thing; it was simply the story I wanted to write. My hope is that this comes through in the writing, and that readers will enjoy it, regardless of what they expected.